United States of America
Case Nos. 01 FSIP 89 and 01 FSIP 91
The Department of Defense, National Guard Bureau, Virginia National Guard, Blackstone, Virginia (Employer) and Southside Chapter, Association of Civilian Technicians (Union) filed separate requests for assistance with the Federal Service Impasses Panel (Panel) to consider a negotiation impasse involving identical issues under the Federal Service Labor-Management Relations Statute (Statute), 5 U.S.C. § 7119. The cases have been consolidated for administrative convenience.
Following an investigation of the requests for assistance, arising from negotiations over a successor collective bargaining agreement (CBA), the Panel determined that the dispute should be resolved on the basis of single written submissions from the parties. The parties were informed that after considering the entire record, the Panel would take whatever action it deemed appropriate to resolve the impasse, which may include the issuance of a Decision and Order. Written submissions were made pursuant to this procedure, and the Panel has now considered the entire record.
The mission of the Virginia National Guard is to fight in the nation’s wars, and to respond to emergencies in the State of Virginia. The Union represents approximately 127 bargaining-unit employees in grades ranging from GS-5 to -9, WG-5 to -12, and WL-8 to -10. A few work in clerical positions, but most are employed in maintenance positions as mechanics, and tool and parts technicians. The parties’ collective bargaining agreement was to have expired on February 7, 2000, but continues in effect pending implementation of a successor.
The parties essentially disagree over whether unit employees should: (1) receive two extra sets of uniforms, in addition to the uniforms that the Employer is already providing, and (2) be permitted to use duty time to order and exchange uniforms.
1. The Union’s Position
The Union proposes that the Employer provide two additional uniforms per technician, and allow the use of duty time to exchange uniforms. This is intended to rectify the unfairness of the current policy under which dual-status technicians who wear uniforms 280 days per year receive the same number of uniforms as National Guard military personnel who wear uniforms about 29 days per year. In addition, technicians need extra uniforms because military regulations state that they may not wear torn, faded, or stained uniforms, despite the fact that they work with heavy machinery, fuels, and oils that easily tear and stain the uniforms. Even though management has a policy permitting an unlimited exchange of uniforms, "[d]epending on funding, availability, and workload of the supply sergeant and availability of the uniforms, replacements can take several months." As a result, technicians sometimes spend their own money to buy new uniforms to avoid violating the military policy against the wearing of worn, torn, or stained uniforms. Furthermore, at least four other state National Guard units realize that replacing uniforms expeditiously is a problem, and have reached agreement with their unions to allow technicians to receive additional uniforms. Finally, "[s]ince wear of the uniform is mandated by Statute while performing Technician duties, the time involved to replace those uniforms should also be accomplished in a duty status."
2. The Employer’s Position
The Employer proposes to maintain the status quo under which employees do not receive extra uniforms, and employees are not permitted to use duty time for travel to order or exchange uniforms. To address the Union’s concern about delays in replacing uniforms, the Employer basically proposes to allow technicians to pick up replacement uniforms at their monthly drills, rather than waiting to have uniforms delivered to the employee’s work site. At the outset, the Panel should "consider if it is appropriate to retain jurisdiction in this matter." By requiring that technicians be issued additional uniforms, the Union is essentially proposing that uniforms be provided under two separate statutory authorities, 37 U.S.C. §§ 417 and 418, 5 U.S.C. § 5901, and 10 U.S.C. § 1593. Provision of uniforms under more than one of these titles, however, is contrary to 37 U.S.C. § 418(c),(1) which states that if a uniform allowance is paid under title 37, it may not be paid under titles 5 or 10. Therefore, the Employer considers the Union’s proposal regarding the number of uniforms to be provided to technicians to be "contrary to 37 U.S.C. § 418(c)."
On the merits of the issues, the number of uniforms provided to technicians should not be increased because internal regulation "CTA 50-900 constitutes the only Department of the Army authorization document for individual and organizational clothing and equipment . . . procur[ed] with appropriated funds." In addition, "management believes that the current number of uniforms issued is sufficient to ensure that bargaining unit technicians have adequate uniforms available for both their technician duties and for wear during weekend drills." In this regard, the Employer has "an unlimited fair wear and tear exchange policy" which recognizes the increased amount of uniform wear a technician incurs. It also provides coveralls sufficient to protect the uniforms. The Employer "has not limited the frequency of that exchange . . . in spite of the knowledge that bargaining unit technicians are not wearing the protective coveralls provided." The wearing of the protective coveralls has not been mandated to address employees’ complaints about comfort. Given the accommodations the Employer already has made with respect to this issue, it "does not believe it is reasonable . . . to provide additional uniforms to compensate for damage caused when an individual technician decides not to wear the protective coveralls provided."
Regarding the Union’s allegations of delays in replacing uniforms, this should not be a problem if technicians replace them as needed, instead of waiting to replace several at once. Moreover, because technicians are permitted to request new uniforms during duty time by phone or fax, there is no need to permit them to order and exchange uniforms on duty time. The Union’s approach also "could result in a considerable amount of lost work time since many technicians are assigned to military units that are not within close proximity to their work site." Finally, the Union has not shown any instances where employees were "negatively impacted" because of the Employer’s current uniform policy and, therefore, has presented insufficient evidence to merit a change in the status quo.
Preliminarily, we turn to a consideration of the Employer’s jurisdictional argument. In such circumstances, the Panel is guided by the Federal Labor Relations Authority’s (FLRA) decisions in Commander, Carswell Air Force Base, Texas and American Federation of Government Employees, Local 1364, 31 FLRA 620 (1988)(Carswell) and U.S. Department of the Interior, Bureau of Reclamation, Lower Colorado Region, Yuma, Arizona and National Federation of Federal Employees, Local 1487, 41 FLRA 3 (1991)(Bureau of Reclamation), which establish the obligations and limitations relating to the Panel’s authority to resolve impasses where duty-to-bargain issues are raised.(2) In this regard, in National Federation of Federal Employees, Local 1669 and U.S. Department of Defense, Arkansas Air National Guard, 188th Fighter Wing, Fort Smith, Arkansas, 55 FLRA 63 (1999), the FLRA rejected an agency argument that 37 U.S.C. §§ 417 and 418 "‘deal comprehensively’ with the issue of uniforms and uniform allowances in a manner that makes bargaining inappropriate." In addition, 37 U.S.C. § 418 does not limit the number of uniforms that may be provided to technicians. Section 418(a), which concerns enlisted members, states:
The President may prescribe the quantity and kind of clothing to be furnished annually to an enlisted member of the armed forces or the National Guard, and may prescribe the amount of cash allowance to be paid to such a member if clothing is not so furnished to him.
Contrary to the Employer’s contention, because title 37 does not limit the number of uniforms available to technicians, there is no need to invoke titles 5 and 10. Accordingly, we conclude that there is no legal impediment to retaining jurisdiction over this aspect of the parties’ impasse.(3)
After carefully reviewing the record concerning the merits of the dispute, we are persuaded that a compromise solution would provide a better resolution than what has been proposed by either party. Under the compromise, technicians shall receive two additional uniforms, and be permitted to use duty time to fax or phone in orders for replacement uniforms. Our approach also provides that technicians may pick up replacement uniforms at their monthly drills. In our view, the Union has demonstrated a need for deviating from the policy that applies to military personnel of the National Guard because of the duties civilian technicians perform, and the frequency of their performance.(4) At least four other states seem to have recognized this by adopting similar proposals. Moreover, providing two more uniforms should not result in additional costs to the Employer, since the Employer has an unlimited replacement policy. Furthermore, the Employer concedes that technicians’ work is likely to result in additional wear and tear of uniforms, and that coveralls provided to technicians fail to prevent such wear and tear, because technicians find it uncomfortable to work in them.
As for using duty time to exchange uniforms, the Union has not contested the Employer’s assertion that some technicians work substantial distances from the supply sergeant, and that a considerable loss in the amount of work time would result. Therefore, the compromise wording codifies the Employer’s current practice under which technicians may use duty time to fax or phone in requests for replacement uniforms. Finally, the wording in our order also adopts the Employer’s proposal to allow technicians to exchange uniforms at their monthly drills. We believe that this is a reasonable way of addressing any delays that technicians may have experienced under the Employer’s current uniform exchange program.
## These records of molecules were left in the article by mistake
┌──
(1)
The following is a quantum chemistry calculation of one molecule with the formula C21H30O6, from OMol25.

Geometry as ORCA input:
```
! wB97M-V def2-TZVPD RIJCOSX def2/J DEFGRID3
* xyz 0 1
C 6.79544 0.29035 -0.34560
C 5.59254 -0.23213 -0.48606
C 4.50448 0.35881 -1.33105
C 3.33519 0.73321 -0.45836
C 3.19110 2.02448 0.01434
C 2.13636 2.39365 0.84137
C 1.21277 1.42243 1.19013
C 1.33361 0.12047 0.73195
C 2.39449 -0.23869 -0.08691
O 2.61311 -1.49567 -0.59371
C 1.75960 -2.56570 -0.26763
C 0.62303 -2.79745 -1.28138
O -0.46477 -1.91143 -1.17429
C -0.42171 -0.77493 -2.01343
C -1.77761 -0.07861 -1.94854
H -2.55321 -0.75383 -2.31113
H -1.75155 0.80857 -2.58160
C -2.11065 0.31236 -0.50836
C -2.45804 -0.94835 0.28454
O -3.30988 -1.73329 -0.02933
O -1.72943 -1.03123 1.39081
C -1.95286 -2.17468 2.22003
C -1.15922 -1.99919 3.50125
H -0.09752 -1.91770 3.28338
H -1.47549 -1.09473 4.01369
H -1.32248 -2.85295 4.15254
H -3.02597 -2.25911 2.42306
H -1.63872 -3.06811 1.66842
C -3.33694 1.20522 -0.38841
O -3.49351 1.99660 0.50457
O -4.20704 0.98054 -1.36385
C -5.46301 1.66036 -1.29056
C -6.41714 0.94306 -0.34736
H -6.03963 0.99404 0.67084
H -6.50788 -0.10125 -0.63545
H -7.39527 1.41389 -0.38593
H -5.29264 2.68868 -0.95488
H -5.84288 1.65848 -2.31405
H -1.27072 0.81132 -0.02069
H 0.36986 -0.08191 -1.69442
H -0.21380 -1.08492 -3.04871
H 0.21418 -3.79580 -1.09178
H 1.04126 -2.77391 -2.29600
H 2.40095 -3.45394 -0.28872
H 1.34401 -2.46064 0.73863
H 0.57273 -0.59176 1.00631
H 0.37650 1.67597 1.82579
C 2.01601 3.79845 1.34970
H 0.98817 4.02369 1.62366
H 2.34617 4.51181 0.59756
H 2.64023 3.93100 2.23417
H 3.92292 2.76629 -0.27311
H 4.17866 -0.38630 -2.06077
H 4.87626 1.23998 -1.85601
H 5.31799 -1.13686 0.03912
H 7.54601 -0.16188 0.28047
H 7.08589 1.19328 -0.85828
*
```

SMILES: C=CCc1cc(C)ccc1OCCOCCC(C(=O)OCC)C(=O)OCC
Largest force on an atom: 0.013 Eh/bohr
Orbital gap: 9.03 eV
Energy relative to the best compared isomer or geometry (same formula, charge and spin): 19.0 kJ/mol
HOMO: -8.2 eV

(2)
The following is a quantum chemistry calculation of C21H30ORhS3Si2 as an isolated structure, from OMol25.

Geometry as ORCA input:
```
! wB97M-V def2-TZVPD RIJCOSX def2/J DEFGRID3
* xyz -1 1
Rh -0.88605 -0.37241 0.26583
C -3.68659 -1.68757 -1.15410
Si -1.79672 -1.70888 -1.35917
C -1.29049 -3.53236 -1.31747
C -1.44051 -1.18527 -3.15310
C -2.06170 -1.73059 -4.28021
C -1.67569 -1.35112 -5.55671
C -0.65661 -0.41787 -5.72403
C -0.03961 0.13578 -4.61248
C -0.42533 -0.23426 -3.32166
Si 0.24395 0.49198 -1.69828
C -0.18535 2.35427 -1.77279
C 2.14370 0.43772 -1.77998
H -4.17449 -2.29425 -1.92465
H -4.08104 -0.67134 -1.22536
H -3.94719 -2.08027 -0.17035
H -1.76959 -4.06847 -2.14324
H -1.58005 -3.99850 -0.37346
H -0.20888 -3.63014 -1.42005
H -2.85413 -2.46418 -4.16125
H -2.16266 -1.77992 -6.42562
H -0.35103 -0.12286 -6.72187
H 0.74963 0.86926 -4.75419
H 0.01514 2.74983 -2.77383
H 0.42160 2.91671 -1.05726
H -1.23383 2.55358 -1.53900
H 2.52002 0.75865 -2.75661
H 2.50859 -0.57353 -1.58782
└──
Pursuant to the authority vested in it by the Federal Service Labor-Management Relations Statute, 5 U.S.C. § 7119, and because of the failure of the parties to resolve their dispute during the course of proceedings instituted under the Panel’s regulations, 5 C.F.R. § 2471.6(a)(2), the Federal Service Impasses Panel, under 5 C.F.R. § 2471.11(a) of its regulations, hereby orders the following:
The parties shall adopt the following wording:
In addition to uniforms issued to technicians in their military capacity, for each technician required to wear the military uniform, the Employer agrees to provide two additional complete sets (blouse, pants, undershirt) of Battle Dress Uniform (BDU) or two complete sets (shirts, pants or skirts, undershirts or blazers) of Class A or B uniforms as applicable to the technician’s duties. The Employer agrees to provide shoes or boots as appropriate. Safety footwear and additional safety items will be issued IAW Article 16 of this agreement. The Employer also agrees to provide other required uniform items and accessories to be worn with the military uniform (hats, belts, etc.). Thereafter uniform and uniform items will be replaced on a fair wear and tear basis. Individual technicians will order replacement uniforms through their supply unit sergeant by the first drill weekend following the date that the uniform becomes unserviceable. Technicians will also be allowed duty time to phone or fax in their orders for replacement uniforms. Replacement of uniforms or uniform items on a fair wear and tear basis will be accomplished as soon as possible but usually not later than the next drill weekend following placement of the order. If a technician does not receive replacement uniforms in a timely manner, he/she should raise the issue to his/her first line supervisor who should attempt to resolve any problems as soon as possible. Additionally, each technician has the responsibility for notifying the chain of command for their unit of assignment of any delays.
By direction of the Panel.
Ellen J. Kolansky
Acting Executive Director
June 25, 2001
1. Section 417 concerns uniform allowances for officers, and § 418 concerns uniform allowances for enlisted members of the National Guard. This analysis is limited to a discussion of § 418, which is more applicable to bargaining-unit members.
2. Carswell allows the Panel to resolve duty-to-bargain issues raised in impasse proceedings where the FLRA previously has found a “substantively identical” proposal negotiable;
Bureau of Reclamation allows such resolution even where an employer’s negotiability arguments are different from those previously addressed by the FLRA.
3. To the extent that the Employer’s position may be construed as an assertion that the Union’s proposal conflicts with an agency regulation, the Employer has not alleged that there is a compelling need for the regulation in question so as to render the proposal nonnegotiable. On the other hand, to the extent that it is asserting that the current regulation does not authorize the issuance of additional uniforms, while this may be true, the Panel’s statutory authority to “take whatever action is necessary” to resolve impasses supercedes such limitations.
4. The Employer has asserted that the Union underestimated the number of days that military personnel wear the uniform. Nevertheless, the parties agree that technicians wear their uniforms far more than do military personnel.